22 October 2023

Lively and bright, see ExTEL's comprehensively upgraded new look

Third-party testing and acceptance reduces risks

Most owners in Taiwan entrust EPC manufacturers to be responsible for the design and construction of solar power plants. System power generation testing and acceptance are also mostly handled by the EPC factory. It is difficult to avoid players and referees. It is difficult to objectively present the construction quality and efficiency of solar power plants, and there is considerable uncertainty. 

Chen Jinxiong, general manager of ExTEL, said that most of the testing and acceptance of new overseas projects is carried out by professional third parties, which has become the norm in the industry. At the same time, it can assist owners or banks to ensure system safety and power generation quality, and ensure investment recovery.

The first regular health check-up package at the case site

ExTEL pioneered the regular health inspection service (HC) at the site. Based on the needs of the owners, we tailor-made a package of inspection services suitable for the site to determine whether the system safety of the solar power plant has changed and whether the power generation quality has declined, to ensure the quality of operation and maintenance. There are a total of 8 to 10 inspection items, which can be completed in one day at a 1MW project site.

ExTEL will issue a test report and provide improvement suggestions, clearly listing items that require emergency treatment and long-term risks. Owners can prescribe appropriate measures to improve power generation efficiency. Chen Jinxiong said that the testing services provided by Estech can also be used as post-disaster damage assessment (IDA) for insurance companies.

_Someone pasted data records at this point_
[1]
{"formula": "C4H13N3", "method": "the ωB97M-V functional and the def2-TZVPD basis", "species": ["C", "N", "C", "N", "C", "N", "C", "H", "H", "H", "H", "H", "H", "H", "H", "H", "H", "H", "H", "H"], "coordinates": [[0.55748, 0.04446, 1.11269], [1.20847, 0.42616, -0.14368], [1.16114, 1.86519, -0.36303], [1.77937, 2.27694, -1.63558], [-0.33273, -1.17402, 0.92780], [-1.29180, -0.91206, -0.11720], [-2.40132, -1.82120, -0.18965], [-0.07451, 0.88693, 1.41973], [1.21653, -0.09828, 1.98121], [2.20176, 0.18769, -0.03732], [0.11113, 2.16401, -0.43074], [1.58464, 2.44995, 0.45464], [2.53282, 1.62156, -1.83069], [1.07011, 2.14314, -2.35195], [0.32647, -2.03306, 0.73906], [-0.82230, -1.39360, 1.88256], [-0.75961, -0.48045, -0.86401], [-2.71448, -2.00077, 0.83445], [-3.23876, -1.37760, -0.73005], [-2.11441, -2.77501, -0.65824]], "forces_ev_per_a": [[-0.81, 0.40, 0.39], [0.52, -0.17, 0.40], [-0.20, 0.50, -0.73], [-0.27, -0.26, 0.39], [0.48, 0.17, 0.24], [0.41, 0.73, 1.30], [0.81, 0.25, -0.84], [-0.08, -0.15, -0.05], [0.37, -0.07, -0.36], [-0.07, -0.12, -0.23], [0.03, -0.03, 0.27], [0.16, -0.12, 0.18], [0.04, 0.19, -0.11], [0.24, -0.14, -0.10], [-0.02, -0.22, -0.19], [-0.23, 0.08, -0.01], [-0.78, -0.57, -0.62], [-0.20, -0.19, 0.10], [-0.03, -0.08, -0.10], [-0.36, -0.20, 0.06]], "e_lumo_ev": [3.99, 3.85], "e_tot_ev": -8826.7975, "total_charge": -1, "orbital_gap_ev": [2.494, 8.645], "de_lowest_kcal_mol": 19.65, "multiplicity": 2}


[2]
{"formula": "C4H13N3", "method": "the ωB97M-V functional and the def2-TZVPD basis", "species": ["N", "C", "C", "C", "N", "C", "N", "H", "H", "H", "H", "H", "H", "H", "H", "H", "H", "H", "H", "H"], "coordinates": [[-1.83037, -1.38235, 2.27181], [-1.61275, -0.15444, 1.47180], [-0.10237, 0.08759, 1.18563], [0.07506, 1.13360, 0.05222], [-0.04363, 0.55255, -1.28586], [1.09784, 0.58712, -2.16802], [2.20349, -0.36174, -2.10202], [-1.31695, -1.38820, 3.14985], [-1.56393, -2.14190, 1.66033], [-2.17895, -0.28892, 0.55499], [-1.96624, 0.71322, 2.02433], [0.39925, 0.43887, 2.08814], [0.24562, -0.91985, 0.93930], [1.10722, 1.45280, 0.19240], [-0.78965, 1.79324, 0.13320], [-0.50978, -0.33503, -1.33792], [0.72244, 0.47364, -3.18934], [1.50844, 1.59547, -2.10742], [2.55532, -0.53448, -1.15044], [1.99994, -1.32120, -2.38299]], "forces_ev_per_a": [[-0.52, 0.75, -0.51], [1.15, -0.43, 1.22], [-1.43, -0.10, -0.51], [-0.07, -2.43, 0.12], [0.49, -0.04, -0.32], [-0.25, 0.04, -0.77], [0.64, -0.97, 1.34], [0.08, -0.10, -0.44], [0.16, -0.38, 0.54], [-0.05, 0.24, -0.17], [-0.46, 0.02, -0.09], [-0.06, -0.13, 0.12], [0.69, 0.30, -0.26], [-0.37, 1.16, -0.26], [0.79, 0.97, 0.43], [-0.24, -0.23, 0.26], [-0.04, 0.13, 0.02], [0.14, -0.02, 0.07], [-0.12, 0.72, -0.34], [-0.53, 0.48, -0.43]], "e_lumo_ev": 1.02, "e_tot_ev": -8828.2352, "total_charge": 0, "smiles": "NCCCNCN", "orbital_gap_ev": 9.551, "de_lowest_kcal_mol": 27.15, "multiplicity": 1}


[3]

Due diligence on second-hand case resale

In recent years, the resale of second-hand property has become popular. Aster’s property due diligence and testing service (TDD) can help buyers reduce property acquisition risks and allow sellers to increase the sale value. ExTEL was established in 2018 and has faithfully played a third-party role in the solar energy industry, providing various power plant inspection services such as new site completion acceptance (SAT), old site health inspection and rectification (HC), and second-hand site purchase and sale appraisal (TDD). 

Chen Jinxiong said that last year, ExTEL launched technical advisory services (TA), module factory audit and module production supervision services (PSI). The service targets include developers, owners, banks, EPC and asset management companies; locations are all over Taiwan, In Japan, Thailand, the Philippines, Indonesia, etc., the cumulative installed capacity of solar power plants tested reaches more than 2GW.

== Next to the piece, the page also holds quantum chemistry results ==
Computed, not measured: a cluster of 3 separate species, C5H13NO2 in total at a distorted geometry, with ωB97M-V/def2-TZVPD.

XYZ file:
```
21
C5H13NO2 ωB97M-V/def2-TZVPD
C 0.75 -1.14 1.30
N -0.11 -1.17 0.09
C -1.00 -0.21 -0.07
C -0.66 1.04 -0.80
C -3.50 0.14 -0.06
C -2.37 -0.52 0.21
H 0.82 -2.14 1.71
H 1.71 -0.67 1.10
H 0.20 -0.55 2.04
H 0.49 -1.15 -0.77
H 0.25 1.47 -0.38
H -1.51 1.71 -0.68
H -3.48 0.86 -0.87
H -4.42 -0.21 0.38
H -2.40 -1.46 0.78
H 3.51 1.92 0.98
H -0.52 0.81 -1.86
O 2.70 1.47 0.73
H 2.78 0.85 -0.08
H 3.05 -0.23 -1.89
O 2.29 -0.03 -1.34
```

relative energy (zero: lowest compared OMol25 entry of this formula, charge and spin) = 527.8 kJ/mol

***

Computed, not measured: a structure of composition C34H88F4Fe2N2O22S4 at a distorted geometry, with ωB97M-V/def2-TZVPD.

XYZ file:
```
156
C34H88F4Fe2N2O22S4 ωB97M-V/def2-TZVPD
Fe 1.41 0.49 2.39
Fe -2.38 0.29 0.45
N -3.81 0.57 1.76
S -5.42 1.17 1.73
O -5.69 2.50 2.21
O -6.50 0.19 1.79
F -5.39 1.57 0.21
S -4.06 0.21 3.25
O -4.53 -1.16 3.43
O -4.33 1.23 4.25
F -2.48 -0.02 3.51
N 1.76 -1.22 3.26
S 1.21 -2.03 4.73
O 2.15 -1.97 5.87
O 0.45 -3.26 4.51
F 0.13 -0.91 5.13
S 2.68 -2.42 2.98
O 2.14 -3.65 2.37
O 3.87 -2.48 3.79
F 3.30 -1.69 1.69
C 0.14 0.56 0.18
O 1.36 0.55 0.32
O -0.57 0.26 -0.72
O -0.44 0.59 1.28
C -2.37 -3.60 2.65
C -1.42 -2.77 1.73
C -0.59 -3.58 0.75
O -2.20 -1.92 0.93
H -1.71 -4.23 3.25
H -2.98 -4.23 2.00
H -3.10 -3.08 3.27
H -0.76 -2.18 2.36
H -0.06 -4.37 1.29
H 0.21 -2.99 0.30
H -1.20 -4.00 -0.05
H -2.67 -2.55 0.38
C -1.25 4.29 0.53
C -2.66 3.85 0.21
C -3.48 4.75 -0.81
O -2.57 2.54 -0.38
H -0.67 4.63 -0.33
H -0.68 3.52 1.04
H -1.30 5.03 1.32
H -3.29 3.77 1.10
H -3.06 4.86 -1.81
H -3.64 5.79 -0.52
H -4.42 4.26 -1.03
H -2.18 2.62 -1.25
C 0.88 2.10 -4.44
C 0.20 2.84 -3.27
C -0.15 4.33 -3.53
O -0.90 2.08 -2.89
H 1.81 2.65 -4.58
H 0.37 1.98 -5.40
H 1.03 1.09 -4.07
H 0.84 2.92 -2.38
H -0.91 4.45 -4.30
H 0.82 4.70 -3.85
H -0.33 4.85 -2.59
H -0.57 1.41 -2.29
C 1.12 -2.57 -4.31
C 0.12 -2.02 -3.31
C -1.05 -2.98 -2.99
O 0.77 -1.79 -2.06
H 1.86 -1.84 -4.64
H 0.64 -2.95 -5.21
H 1.64 -3.42 -3.89
H -0.21 -1.02 -3.60
H -1.72 -2.54 -2.25
H -0.62 -3.92 -2.64
H -1.68 -3.29 -3.84
H 0.37 -1.08 -1.56
C 5.41 0.80 2.64
C 4.20 1.48 3.25
C 4.45 2.95 3.69
O 3.26 1.52 2.16
H 6.19 0.76 3.39
H 5.76 1.35 1.76
H 5.23 -0.21 2.25
H 3.75 0.78 3.96
H 5.12 3.54 3.07
H 4.83 2.91 4.72
H 3.50 3.49 3.76
H 3.76 1.79 1.39
C 4.64 0.69 -3.36
C 3.71 0.09 -2.29
C 4.59 -0.67 -1.24
O 3.14 1.23 -1.65
H 4.07 1.32 -4.05
H 5.20 -0.02 -3.96
H 5.44 1.29 -2.92
H 2.90 -0.55 -2.66
H 5.48 -0.12 -0.92
H 4.77 -1.65 -1.67
H 3.89 -0.78 -0.41
H 2.43 0.91 -1.08
C -5.59 -2.83 0.58
C -5.01 -3.93 -0.30
C -5.93 -4.32 -1.46
O -3.81 -3.43 -0.88
H -6.57 -3.08 0.98
H -5.62 -1.90 0.00
H -4.97 -2.66 1.46
H -4.85 -4.80 0.35
H -6.09 -3.46 -2.10
H -6.90 -4.74 -1.16
H -5.44 -5.03 -2.13
H -3.40 -4.17 -1.33
C -1.06 2.19 5.23
C -0.26 2.46 3.96
C 0.35 3.87 3.96
O 0.94 1.71 3.96
H -1.57 1.23 5.13
H -1.93 2.84 5.37
H -0.52 2.11 6.17
H -0.88 2.29 3.08

KIWA takes ownership and officially enters LTA

The Dutch KIWA Group is a world-renowned leader in the field of TIC (Testing, Inspection, & Certification), specializing in providing testing, inspection and certification services, with customers in private and public sector organizations around the world. I am convinced of the management and technology of ExTEL's team, and I am optimistic about the Asian solar energy market, so I decided to invest in ExTEL.

The page is interrupted by records of molecules:
Below is a structure of composition C24H23BClN16RuSe, with properties calculated with the ωB97M-V functional and the def2-TZVPD basis.

Element x y z (Å)
Ru: -0.41995 0.16925 0.05991
C: 3.76484 0.92739 -0.45430
C: 2.53360 0.55653 -0.97222
N: 1.62371 0.49743 0.00618
N: 2.25273 0.82040 1.15632
C: 3.53691 1.09258 0.90194
B: 1.50331 0.99300 2.51982
N: 0.67886 -0.30234 2.77794
C: 0.47061 -0.94229 3.93379
C: -0.48839 -1.92187 3.74170
C: -0.85270 -1.80159 2.41227
N: -0.14638 -0.82202 1.82990
N: 0.51568 2.16738 2.38514
C: 0.23894 3.23718 3.15245
C: -0.85417 3.88594 2.61446
C: -1.20079 3.12786 1.49716
N: -0.37469 2.09580 1.36550
N: 2.54039 1.16665 3.59663
C: 3.39585 0.21538 4.06679
C: 4.37584 0.84720 4.78213
C: 4.05100 2.21569 4.67996
N: 2.96460 2.40486 3.95764
H: 4.69263 1.05344 -0.98256
H: 2.26141 0.32417 -1.98644
H: 4.20265 1.39205 1.69478
H: 1.00744 -0.65697 4.82250
H: -0.87073 -2.61899 4.46533
H: -1.55989 -2.37716 1.84195
H: 0.85576 3.46952 4.00147
H: -1.32560 4.78043 2.98015
H: -2.00213 3.27105 0.78955
H: 3.25015 -0.83049 3.85037
H: 5.19885 0.39513 5.30703
H: 4.56416 3.06313 5.10559
Se: -1.32150 -5.00189 -0.49072
N: -0.60790 -5.18752 -2.09071
C: -0.23836 -3.98255 -2.48745
C: 0.31951 -3.66852 -3.75895
C: 0.58533 -2.36480 -4.01626
C: 0.33241 -1.37734 -3.01785
N: -0.14005 -1.60913 -1.82635
C: -0.46391 -2.91596 -1.54615
N: -1.02921 -3.25974 -0.40678
H: 0.49859 -4.45665 -4.47775
H: 0.99057 -2.04700 -4.96645
H: 0.53885 -0.33813 -3.25919
C: -2.66562 2.28299 -4.52528
N: -1.75036 2.16722 -3.39624
C: -0.70870 3.01959 -3.09879
C: -0.11265 2.52298 -1.98574
N: -0.78370 1.38028 -1.60263
C: -1.76339 1.20095 -2.47685
H: -3.04675 3.29958 -4.58034
H: -3.49567 1.59815 -4.37476
H: -2.15250 2.03338 -5.45169
H: -0.49828 3.89137 -3.69263
H: 0.71920 2.90719 -1.42187
H: -2.47288 0.39173 -2.46138
Cl: -3.14319 -1.78012 -4.18766
C: -3.35802 -3.10659 -3.14356
H: -3.19018 -4.08381 -3.56412
H: -3.85004 -2.92080 -2.20270
N: -2.38674 -0.28672 0.12102
C: -3.20765 -1.12603 0.12989
N: -4.13950 -1.98139 0.07425
C: -3.99657 -3.07384 0.82085
N: -3.84564 -4.02263 1.46401

Results
2S+1	5
expectation value of S²	6.02
molecular weight	761.85	g/mol
orbital gap (alpha / beta)	0.260 / 0.256	Ha
E_LUMO (alpha / beta)	-3.8 / -4.6	eV
total charge	+1

=====

Below is an isolated molecule of C3H4N2O, with properties calculated with the ωB97M-V functional and the def2-TZVPD basis.

Element x y z (Å)
N: 1.59523 0.03310 -0.39884
C: 0.22320 0.01528 -0.08291
C: -0.59084 1.15183 0.20180
N: -1.83889 0.82607 0.40019
O: -1.90147 -0.53415 0.23572
C: -0.67209 -1.00459 -0.03595
H: 2.17297 0.23453 0.40937
H: 1.90430 -0.84098 -0.80518
H: -0.29564 2.19217 0.25836
H: -0.59677 -2.07326 -0.18255

Results
molecular weight	84.08	g/mol
orbital gap	0.365	Ha
E_LUMO	0.9	eV

=====

Below is an isolated molecule of C4H5NO2S at a distorted geometry, with properties calculated with the ωB97M-V functional and the def2-TZVPD basis.

Element x y z (Å)
N: -1.18077 1.27906 -0.47119
C: -0.03398 0.56243 -0.32335

After joining the KIWA Group, ExTEL officially stepped into LTA technical consulting services this year, providing complete due diligence (TDD) reports for banks and investors. The services include project site design review, technical advice provision and EPC contract review; power generation simulation and efficiency estimation; project environment, on-site investigation and confirmation, drone aerial photography, etc.; supervision of project site construction progress and confirmation of project quality; After completion, acceptance service will be carried out.

Chen Jinxiong said that when purchasing modules, many industry players also entrust ExTEL to provide PSI services, including auditing module factories, conducting production supervision, and witnessing shipments, to help owners ensure the quality of modules. At the same time, EST also cooperates with the laboratories of KIWA PI Berlin and KIWA PVEL, the group's subsidiaries, to provide module testing services to ensure that the module has a 20-year life and optimal efficiency.

Dust monitoring improves maintenance income

DAS 2.0 is a dust monitoring system developed by Astech for solar photovoltaic systems. It can improve maintenance efficiency, reduce cleaning costs, and increase power generation revenue. Compared with traditional monitoring systems, DAS2.0 can more accurately assess power generation losses and avoid missing cleaning opportunities due to dust.

ExTEL said that for green energy operators with hundreds of distributed rooftop sites, installing DAS2.0 can easily manage the sites and prioritize module cleaning; when used in large sites, Multiple DAS2.0 units can be installed to control dust in separate zones, and module cleaning starts from the dirtiest areas, saving cleaning costs and water resources.

Easy installation is a major feature of the DAS 2.0 dust monitoring system. ExTEL provides exclusive monitoring web pages suitable for different types of crime scenes. The number of installations in Taiwan has exceeded 200. Chenya Energy's Lunweidong water surface system and Xiangyang Youneng Yizhu Fishing and Electricity Case Field are typical cases.

Reporter: Economic Daily - Weng Yongquan